== What to do ==
What is needed: count the lines further below that contain the word "unit" and give the number alone.
== Entries ==
# 1
# Hf2NiHOs

A geometry-optimized Hf2NiHOs structure (PBE, the Alexandria database).

As for the calculated total energy: -41.97 eV per formula unit. The calculation puts the size of the total moment at 0.0 μB/f.u.

It has space group P4/mmm (No. 123), with a = 4.4403 Å, b = 4.4403 Å, c = 3.5774 Å, α = 90.00°, β = 90.00° and γ = 90.00°. The distinct sites, in fractional coordinates, are Hf at (0.0000, 0.5000, 0.0000), Ni at (0.0000, 0.0000, 0.5000), H at (0.5000, 0.5000, 0.0000) and Os at (0.5000, 0.5000, 0.5000).

***

# 2
# Hf2NiHOs

A geometry-optimized Hf2NiHOs structure (PBE, the Alexandria database).

As for the calculated total energy: -42.73 eV per formula unit. The calculation puts the size of the total moment at 0.0 μB/f.u.

It has space group P4/mmm (No. 123), with a = 4.5783 Å, b = 4.5783 Å, c = 3.3013 Å, α = 90.00°, β = 90.00° and γ = 90.00°. The distinct sites, in fractional coordinates, are Hf at (0.0000, 0.5000, 0.0000), Ni at (0.0000, 0.0000, 0.5000), H at (0.0000, 0.0000, 0.0000) and Os at (0.5000, 0.5000, 0.5000).

***

# 3
# HfNi2HPd

A geometry-optimized HfNi2HPd structure (PBE, the Alexandria database).

As for the calculated total energy: -31.61 eV per formula unit. The calculation puts the size of the total moment at 0.0 μB/f.u.

It has space group P4/mmm (No. 123), with a = 3.9677 Å, b = 3.9677 Å, c = 3.7812 Å, α = 90.00°, β = 90.00° and γ = 90.00°. The distinct sites, in fractional coordinates, are Hf at (0.0000, 0.0000, 0.0000), Ni at (0.0000, 0.5000, 0.5000), H at (0.5000, 0.5000, 0.5000) and Pd at (0.5000, 0.5000, 0.0000).

***

- Which value of calculated total energy does entry 1 give?
  -41.97 eV per formula unit
== Here it is ==
4